Sunday, December 28, 2008

Christmas time, so many things.. so little time

Hello friends....

I slipped mother an anti-stress pill in her caffeine laden drink and it appears that it has temporarily knocked her out. So, the girls and I are taking this opprotunity to blog.

We have been so busy working at the store, making sure mother works at her real job, attending agility and rally classes, attending agility trials, barking, sleeping, playing, and traveling that we don't know if we are coming or going!

We had a bark-taq-u-lar Christmas, and we hope that everyone celebrating their holidays did too. Santa Paws was quite generous with us, even though some of us which won't be named (Katherine) were on the naughty list. I, of course, was a perfect boy all year and had no guilty conscious regarding my actions.

The weekend before Christmas we had an agility trial, and we all did marvelously well. Katherine and Zorra got many qualifying runs. I got one, myself. Obviously, the judge did not agree with some of my choices during the course and did not allow me to finish. Pish Posh, I say. I can always plot a better course than any mere human!

In fact, at one point, I thought that Mother and I were racing to the end of the tunnel. I ran into my end to speed along, but was SHOCKED to see her legs at the other end blocking my way. As soon as I stuck my nose out of the tunnel, she swooped me up, saying something about the course did not allow endless tunneling. I only took it 4 times! I would have taken it more if she had not so unceremoniously grabbed me! I, for one, was quite taken aback by mother's lack of foresight!

We have another trial over New Years Eve and Day. One of our New Year's resolutions is to keep up with our blogging We got quite far behind over the past few months. Thanks for sticking in there with us. You are all quite wonderful pals!


Dandy Duke said...

What a fuddyduddy that agility judge was, Sam! It's all about having fun too, right?!
We're glad your Christmas was a spectacular one!

Love ya lots,
Maggie and Mitch

Noah the Airedale said...

G'day Sam,
We had a great Christmas too.
Sounds like the agility is coming along well except for that judge...what does he know anyway.
Hope you all have a great new years.

Noah x

Lorenza said...

Hi, friends!
Glad you had a great Christmas!
Some times its not easy to blog!
Have fun
Kisses and hugs

Pippa said...

+++
{
  "formula": "C15H11F6I2N3O5PrS2",
  "method": "ωB97M-V with the def2-TZVPD basis set",
  "species": ["Pr", "I", "C", "C", "C", "I", "C", "O", "C", "C", "N", "C", "C", "C", "C", "C", "C", "N", "C", "H", "H", "H", "H", "H", "H", "H", "H", "H", "H", "H", "F", "C", "F", "F", "S", "O", "O", "N", "S", "O", "O", "C", "F", "F", "F"],
  "coordinates": [[0.7259, -0.7313, -0.8757], [-5.2644, -0.5108, 3.0399], [-3.8963, -0.7447, 1.5131], [-3.0948, -1.8784, 1.4919], [-2.1614, -2.0488, 0.4738], [-0.7177, -3.5023, 0.5522], [-2.0881, -1.1101, -0.5532], [-1.2039, -1.2896, -1.5801], [-2.7624, 0.1023, -0.4368], [-2.2230, 1.2562, -1.2181], [-0.8494, 1.5299, -0.6843], [-0.8800, 2.0223, 0.7100], [-0.5372, 1.0029, 1.7751], [-1.1244, 1.0648, 3.0295], [-0.6722, 0.2155, 4.0264], [0.3639, -0.6672, 3.7648], [0.8843, -0.6877, 2.4851], [0.4349, 0.1172, 1.5152], [-3.6990, 0.2646, 0.5740], [-3.1787, -2.6112, 2.2838], [-2.8512, 2.1415, -1.0928], [-2.1334, 1.0422, -2.2815], [-0.4386, 2.2592, -1.2575], [-1.8521, 2.4600, 0.9492], [-0.1511, 2.8322, 0.7924], [-1.9222, 1.7725, 3.2124], [-1.1245, 0.2503, 5.0091], [0.7577, -1.3284, 4.5228], [1.6942, -1.3592, 2.2218], [-4.2357, 1.2022, 0.6571], [2.3693, 2.0601, -1.0261], [2.7155, 2.3220, -2.2910], [1.8686, 3.2108, -2.7690], [3.9420, 2.7853, -2.3289], [2.5985, 0.8006, -3.3391], [1.2958, 0.2277, -2.8585], [2.6830, 1.2535, -4.6743], [3.8072, -0.1724, -2.9846], [3.8589, -1.1599, -1.7699], [5.1680, -1.5933, -1.4650], [2.9819, -0.6513, -0.6580], [2.9300, -2.7426, -2.1103], [1.6879, -2.5074, -2.5952], [3.5498, -3.6093, -2.8568], [2.7445, -3.2896, -0.8929]],
  "atomic_forces_ev_per_a": [[-2.3, 0.3, 1.3], [-0.2, 0.1, 0.2], [0.3, -0.1, -0.3], [0.1, -0.1, 0.1], [-0.9, 0.7, 0.2], [0.3, -0.7, 0.0], [1.3, -0.5, -1.0], [-0.9, 0.1, 0.5], [-0.4, 0.1, 0.3], [0.1, 0.1, 0.0], [0.1, -0.1, 0.1], [0.0, 0.1, -0.1], [0.0, 0.0, 0.1], [0.0, 0.0, -0.1], [-0.1, 0.0, 0.1], [0.0, 0.0, -0.1], [-0.2, 0.1, 0.2], [0.1, 0.1, -0.3], [0.1, 0.0, 0.0], [0.0, 0.0, 0.0], [-0.1, 0.0, 0.0], [0.0, -0.1, 0.0], [0.0, 0.0, -0.1], [0.0, 0.0, 0.0], [0.1, 0.0, 0.0], [0.0, 0.0, 0.0], [0.0, 0.0, 0.0], [0.0, 0.0, 0.0], [0.0, 0.0, 0.0], [0.0, 0.0, 0.0], [-0.1, -0.2, 0.3], [0.4, 0.0, -0.1], [-0.2, 0.2, -0.1], [0.1, 0.1, 0.1], [-0.5, -1.0, 0.2], [1.3, 1.0, -1.0], [-0.1, -0.1, 0.1], [-0.3, 0.0, 0.0], [-0.2, 0.7, 0.4], [-0.1, 0.1, 0.1], [1.8, -0.5, -0.8], [0.2, -0.8, 0.5], [0.1, 0.1, -0.3], [0.0, 0.4, -0.3], [0.0, 0.1, -0.1]],
  "homo_energy_ev": [-11.35, -11.36],
  "charge": 1,
  "spin_multiplicity": 3
}
+++

Hey good luck with the trials and the new year resolutions. I have given up saying that mistress will be better in the new year.

Have a great new year.
